**Material:**
Theoretical powder diffractogram of K2PbO3 for Cu Kα X-rays, from a cell relaxed with GGA-PBE.
Peak positions follow from Bragg's law for the DFT cell and can differ from measured ones.

Crystal structure
abc: 6.472 6.472 6.103
angles: 90.00 90.00 66.40
Atoms (fractional coordinates):
K1 0.023 0.303 0.000
K2 0.303 0.023 0.500
K3 0.697 0.977 0.000
K4 0.977 0.697 0.500
Pb1 0.401 0.599 0.037
Pb2 0.599 0.401 0.537
O1 0.123 0.877 0.134
O2 0.336 0.398 0.774
O3 0.398 0.336 0.274
O4 0.602 0.664 0.774
O5 0.664 0.602 0.274
O6 0.877 0.123 0.634

Largest 10 diffraction maxima, by angle, 5° ≤ 2θ ≤ 70°:
14.94°, intensity 100
16.37°, intensity 60
20.89°, intensity 39
27.73°, intensity 35
29.14°, intensity 66
29.27°, intensity 30
31.43°, intensity 58
33.60°, intensity 28
40.76°, intensity 44
48.40°, intensity 29

Theoretical powder diffractogram of Er2S2F for Cu Kα X-rays, from a cell relaxed with GGA-PBE.
Peak positions follow from Bragg's law for the DFT cell and can differ from measured ones.

Crystal structure
abc: 3.583 3.583 11.153
angles: 90.00 90.00 90.00
Atoms (fractional coordinates):
Er1 0.000 0.000 0.190
Er2 0.000 0.000 0.810
S1 0.000 0.000 0.412
S2 0.000 0.000 0.588
F1 0.000 0.000 0.000

Largest 10 diffraction maxima, by angle, 5° ≤ 2θ ≤ 70°:
7.93°, intensity 21
15.89°, intensity 28
23.94°, intensity 23
24.85°, intensity 100
29.64°, intensity 26
34.77°, intensity 35
35.43°, intensity 39
43.21°, intensity 20
48.05°, intensity 29
54.83°, intensity 20

Theoretical powder diffractogram of Na2YCuF6 for Cu Kα X-rays, from a cell relaxed with GGA-PBE.
Peak positions follow from Bragg's law for the DFT cell and can differ from measured ones.

Crystal structure
abc: 6.178 6.178 6.178
angles: 60.00 60.00 60.00
Atoms (fractional coordinates):
Na1 0.250 0.250 0.250
Na2 0.750 0.750 0.750
Y1 0.000 0.000 0.000
Cu1 0.500 0.500 0.500
F1 0.248 0.248 0.752
F2 0.248 0.752 0.248
F3 0.248 0.752 0.752
F4 0.752 0.248 0.248
F5 0.752 0.248 0.752
F6 0.752 0.752 0.248

Largest 10 diffraction maxima, by angle, 5° ≤ 2θ ≤ 70°:
17.58°, intensity 5
20.33°, intensity 99
28.90°, intensity 100
34.03°, intensity 2
41.33°, intensity 68
46.48°, intensity 41
51.22°, intensity 40
59.88°, intensity 40
63.93°, intensity 18
67.84°, intensity 17

Theoretical powder diffractogram of RbLuS2O9 for Cu Kα X-rays, from a cell relaxed with GGA-PBE.
Peak positions follow from Bragg's law for the DFT cell and can differ from measured ones.

Crystal structure
abc: 10.077 8.492 10.289
angles: 90.00 117.58 90.00
Atoms (fractional coordinates):
Rb1 0.219 0.166 0.182
Rb2 0.219 0.334 0.682
Rb3 0.781 0.666 0.318
Rb4 0.781 0.834 0.818
Lu1 0.248 0.629 0.030
Lu2 0.248 0.871 0.530
Lu3 0.752 0.129 0.470
Lu4 0.752 0.371 0.970
S1 0.061 0.631 0.184
S2 0.061 0.869 0.684
S3 0.488 0.696 0.890
S4 0.488 0.804 0.390
S5 0.512 0.196 0.610
S6 0.512 0.304 0.110
S7 0.939 0.131 0.316
S8 0.939 0.369 0.816
O1 0.068 0.749 0.578
O2 0.068 0.751 0.078
O3 0.087 0.707 0.323
O4 0.087 0.793 0.823
O5 0.091 0.059 0.381
O6 0.091 0.441 0.881
O7 0.176 0.512 0.200
O8 0.176 0.988 0.700
O9 0.342 0.624 0.562
O10 0.342 0.876 0.062
O11 0.357 0.606 0.881
O12 0.357 0.894 0.381
O13 0.397 0.088 0.612
O14 0.397 0.412 0.112
O15 0.437 0.701 0.256
O16 0.437 0.799 0.756
O17 0.446 0.206 0.976
O18 0.446 0.294 0.476
O19 0.554 0.706 0.524
O20 0.554 0.794 0.024
O21 0.563 0.201 0.244
O22 0.563 0.299 0.744
O23 0.603 0.588 0.888
O24 0.603 0.912 0.388
O25 0.643 0.106 0.619
O26 0.643 0.394 0.119
O27 0.658 0.124 0.938
O28 0.658 0.376 0.438
O29 0.824 0.012 0.300
O30 0.824 0.488 0.800
O31 0.909 0.559 0.119
O32 0.909 0.941 0.619
O33 0.913 0.207 0.177
O34 0.913 0.293 0.677
O35 0.932 0.249 0.922
O36 0.932 0.251 0.422

Largest 10 diffraction maxima, by angle, 5° ≤ 2θ ≤ 70°:
14.25°, intensity 100
14.39°, intensity 43
19.88°, intensity 28
23.11°, intensity 25
25.72°, intensity 24
26.96°, intensity 87
27.82°, intensity 44
28.79°, intensity 26
29.15°, intensity 67
41.85°, intensity 35
**What to do:**
What is needed: return the entries above character by character.
**Outcome:**
Theoretical powder diffractogram of K2PbO3 for Cu Kα X-rays, from a cell relaxed with GGA-PBE.
Peak positions follow from Bragg's law for the DFT cell and can differ from measured ones.

Crystal structure
abc: 6.472 6.472 6.103
angles: 90.00 90.00 66.40
Atoms (fractional coordinates):
K1 0.023 0.303 0.000
K2 0.303 0.023 0.500
K3 0.697 0.977 0.000
K4 0.977 0.697 0.500
Pb1 0.401 0.599 0.037
Pb2 0.599 0.401 0.537
O1 0.123 0.877 0.134
O2 0.336 0.398 0.774
O3 0.398 0.336 0.274
O4 0.602 0.664 0.774
O5 0.664 0.602 0.274
O6 0.877 0.123 0.634

Largest 10 diffraction maxima, by angle, 5° ≤ 2θ ≤ 70°:
14.94°, intensity 100
16.37°, intensity 60
20.89°, intensity 39
27.73°, intensity 35
29.14°, intensity 66
29.27°, intensity 30
31.43°, intensity 58
33.60°, intensity 28
40.76°, intensity 44
48.40°, intensity 29

Theoretical powder diffractogram of Er2S2F for Cu Kα X-rays, from a cell relaxed with GGA-PBE.
Peak positions follow from Bragg's law for the DFT cell and can differ from measured ones.

Crystal structure
abc: 3.583 3.583 11.153
angles: 90.00 90.00 90.00
Atoms (fractional coordinates):
Er1 0.000 0.000 0.190
Er2 0.000 0.000 0.810
S1 0.000 0.000 0.412
S2 0.000 0.000 0.588
F1 0.000 0.000 0.000

Largest 10 diffraction maxima, by angle, 5° ≤ 2θ ≤ 70°:
7.93°, intensity 21
15.89°, intensity 28
23.94°, intensity 23
24.85°, intensity 100
29.64°, intensity 26
34.77°, intensity 35
35.43°, intensity 39
43.21°, intensity 20
48.05°, intensity 29
54.83°, intensity 20

Theoretical powder diffractogram of Na2YCuF6 for Cu Kα X-rays, from a cell relaxed with GGA-PBE.
Peak positions follow from Bragg's law for the DFT cell and can differ from measured ones.

Crystal structure
abc: 6.178 6.178 6.178
angles: 60.00 60.00 60.00
Atoms (fractional coordinates):
Na1 0.250 0.250 0.250
Na2 0.750 0.750 0.750
Y1 0.000 0.000 0.000
Cu1 0.500 0.500 0.500
F1 0.248 0.248 0.752
F2 0.248 0.752 0.248
F3 0.248 0.752 0.752
F4 0.752 0.248 0.248
F5 0.752 0.248 0.752
F6 0.752 0.752 0.248

Largest 10 diffraction maxima, by angle, 5° ≤ 2θ ≤ 70°:
17.58°, intensity 5
20.33°, intensity 99
28.90°, intensity 100
34.03°, intensity 2
41.33°, intensity 68
46.48°, intensity 41
51.22°, intensity 40
59.88°, intensity 40
63.93°, intensity 18
67.84°, intensity 17

Theoretical powder diffractogram of RbLuS2O9 for Cu Kα X-rays, from a cell relaxed with GGA-PBE.
Peak positions follow from Bragg's law for the DFT cell and can differ from measured ones.

Crystal structure
abc: 10.077 8.492 10.289
angles: 90.00 117.58 90.00
Atoms (fractional coordinates):
Rb1 0.219 0.166 0.182
Rb2 0.219 0.334 0.682
Rb3 0.781 0.666 0.318
Rb4 0.781 0.834 0.818
Lu1 0.248 0.629 0.030
Lu2 0.248 0.871 0.530
Lu3 0.752 0.129 0.470
Lu4 0.752 0.371 0.970
S1 0.061 0.631 0.184
S2 0.061 0.869 0.684
S3 0.488 0.696 0.890
S4 0.488 0.804 0.390
S5 0.512 0.196 0.610
S6 0.512 0.304 0.110
S7 0.939 0.131 0.316
S8 0.939 0.369 0.816
O1 0.068 0.749 0.578
O2 0.068 0.751 0.078
O3 0.087 0.707 0.323
O4 0.087 0.793 0.823
O5 0.091 0.059 0.381
O6 0.091 0.441 0.881
O7 0.176 0.512 0.200
O8 0.176 0.988 0.700
O9 0.342 0.624 0.562
O10 0.342 0.876 0.062
O11 0.357 0.606 0.881
O12 0.357 0.894 0.381
O13 0.397 0.088 0.612
O14 0.397 0.412 0.112
O15 0.437 0.701 0.256
O16 0.437 0.799 0.756
O17 0.446 0.206 0.976
O18 0.446 0.294 0.476
O19 0.554 0.706 0.524
O20 0.554 0.794 0.024
O21 0.563 0.201 0.244
O22 0.563 0.299 0.744
O23 0.603 0.588 0.888
O24 0.603 0.912 0.388
O25 0.643 0.106 0.619
O26 0.643 0.394 0.119
O27 0.658 0.124 0.938
O28 0.658 0.376 0.438
O29 0.824 0.012 0.300
O30 0.824 0.488 0.800
O31 0.909 0.559 0.119
O32 0.909 0.941 0.619
O33 0.913 0.207 0.177
O34 0.913 0.293 0.677
O35 0.932 0.249 0.922
O36 0.932 0.251 0.422

Largest 10 diffraction maxima, by angle, 5° ≤ 2θ ≤ 70°:
14.25°, intensity 100
14.39°, intensity 43
19.88°, intensity 28
23.11°, intensity 25
25.72°, intensity 24
26.96°, intensity 87
27.82°, intensity 44
28.79°, intensity 26
29.15°, intensity 67
41.85°, intensity 35